A vulnerability is a weakness or error in a system or device’s code that, when exploited, can compromise the confidentiality, availability, and integrity of data stored in them through unauthorized access, the elevation of privileges, or denial of service.
There are different Scanning tools in the market which help us to find out these types of weaknesses in our system. Nessus is one of the great tools to help keep their domains free of the easy vulnerabilities that hackers and viruses commonly look to exploit.
Purpose: Vulnerability Assessment
- Vulnerability scanning is a process of identifying network, application, and security vulnerabilities.
- In addition to identifying security loopholes, vulnerability scans also predict effective solutions to counter a threat or attack.
- After the scan, a report is generated. The findings in the report can then be analyzed and interpreted to identify opportunities to improve security.
Open source but with a limitation: Scans up to 16 IPs
Nessus is developed by Tenable, Inc. It is a remote security scanning tool, which scans a computer for vulnerabilities that malicious hackers could use to gain access to any computer you have connected to a network.
Nessus Essentials is a free version of the Nessus vulnerability scanner. You can scan up to 16 IPs with Nessus Essentials. The activation code does not expire and can be used for as long as needed.
Why we should use Nessus:
If you are familiar with other network vulnerability scanners, you might be wondering what Pros Nessus has over them. Here are the advantages of using Nessus for vulnerability scan:
- Unlike other scanners, Nessus does not make assumptions about your server configuration (such as assuming that port 80 must be the only webserver) that can cause other scanners to miss real vulnerabilities.
- Nessus provides a plug-in interface, and many free plugins are available from the Nessus plug-in site. These plugs are often specific to detecting a common virus or vulnerability.
- The paid version of Nessus gives some other special vulnerability scan templates like Mobile Device Scan, MDM Config Audit, etc.
- When Nessus detects a vulnerability, it is also most often able to suggest the best way to mitigate the vulnerability.
Nessus Official Documentation:
Nessus Installation on Windows Machine
- Download Docker for Windows
Requirements: You should have at least 8 GB Ram & more than Windows 10 Pro (64 Bit)
Reason for Using Dockers: Docker is an open-source containerization platform. It enables developers to package applications into containers. You can deploy a managed Nessus scanner or an instance of Nessus Professional/Essential as a Docker image to run on a container. Nessus can audit the configuration of the Docker containers as well.
- Download the Linux kernel update package
- Signup for docker hub

- Search for Nessus image in docker hub
- Use this command on windows CLI:
docker pull tenableofficial/nessus
Nessus image is installed. The moment we get the docker image, the container is not there.
How to start the container?
docker run -it -d tenableofficial/nessus
- -it: means an interactive mode in the background
- -d: create a demon thread that will be up and running in the background if you cancel or close the terminal
Some id will be generated and it means that the container is up and running
Up till now we have pulled the image, executed the image, and created the container.
- Go to the following links:
- Get the activation code on your email
- Run this command:
docker run -p 8834:8834 tenableofficial/nessus
- Go to: https://localhost:8834/

- Log in with your credentials
- Allow all plugins to download (This will only happen once at the first login)
Scanning Ubuntu VM using Nessus Essentials
Authenticated scan:
- Automatic authentication
- HTTP login form
After running an authenticated scan through automatic authentication OR login form, if the Plugin ID 11219 shows credentialed checks: no, it means that SSH is not enabled on the Ubuntu VM.
- Allow Access To your Selected IP Addresses Or Networks on Ubuntu VM (Enable SSH on Ubuntu).
- Verify that you are able to SSH the Ubuntu using this command on windows CLI: SSH root@[ubuntu IP]
Re-run the scan and the credential checks should be yes.
Nessus Scanning on Local Machine using Basic Network Scan
“Knowing your enemy is winning half the war..”
Similarly, when you know about your target, half the task of Hacking is done.
Network Scanning is the procedure of identifying active hosts, ports, and the services used by the target application.
Suppose you are an Ethical Hacker and want to find vulnerabilities in the System, you need a point in the System that you can try to attack. Network Scanning for Ethical Hacking is used to find out these points in the system that a Black Hat Hacker can use to hack the network. And then the respective teams work on improving the security of the network.
Nessus provides a simple way to execute a basic network scan test to find out the loopholes and vulnerabilities in your targeted network
Nessus Scanning using Web Application Tests Template
Nessus provides template Web Application Tests so you can scan your targeted website with a single click:
Note: There are some other template Scanners provided by Nessus you can select as per your requirements. In the below screenshot you can see the list of vulnerability scanner templates in Nessus:
CVSS-Based Severity and Score
Nessus classified the vulnerabilities into 5 levels:
- Info: Identifies the non-vulnerability information and separates it from the vulnerability detail.
- Low: Identifies the flaws that might help an attacker to better refine his attack. However, by itself, this flaw won’t be sufficient to compromise that system.
- Medium: Identifies some information that is leaking from the remote host. An attacker might be able to read a file that he/she would not have the access to do so.
- High: identifies that the attacker can read arbitrary files on the remote host and or can execute commands on the remote host.
These data records were left in the text by mistake:
Here is a relaxed structure of Mn2TeSe2 from Alexandria via LeMat-Bulk. Energies are from PBE. Values from VASP.

Geometry as Quantum ESPRESSO input:
```
&SYSTEM
  ibrav = 0, nat = 5, ntyp = 3
/
ATOMIC_SPECIES
Mn 54.94 Mn.upf
Te 127.60 Te.upf
Se 78.96 Se.upf
CELL_PARAMETERS angstrom
-2.121 2.121 5.870
2.121 -2.121 5.870
2.121 2.121 -5.870
ATOMIC_POSITIONS crystal
Mn 0.126 0.126 0.000
Mn 0.874 0.874 0.000
Te 0.500 0.500 0.000
Se 0.250 0.750 0.500
Se 0.750 0.250 0.500
```

Values from the calculation:
SG: I4/mmm, No. 139
Raw formation energy (eV per atom): 0.063
ΔE to the lowest computed polymorph (meV/atom): 366.4

=====

Arrangement 1

The following is a GGA-PBE calculation of a relaxed structure of Sr2LiCaN, from Alexandria.

Properties
Spin magnetization: 0.56 μB per formula unit
DOS at the Fermi energy: 4.041 states/eV per cell

POSCAR file:
```
Sr2LiCaN
1.0
5.3179 0.0000 0.0000
0.0000 5.1934 0.0000
0.0000 0.0000 5.3179
Ca Sr N Li
1 2 1 1
direct
0.5000 0.5000 0.5000 Ca
0.0000 0.0000 0.5000 Sr
0.5000 0.0000 0.0000 Sr
0.0000 0.0000 0.0000 N
0.0000 0.5000 0.0000 Li
```

=====

Arrangement 2

The following is a GGA-PBE calculation of a relaxed structure of Sr2LiCaN, from Alexandria.

Properties
Spin magnetization: 0.00 μB per formula unit
DOS at the Fermi energy: 3.915 states/eV per cell

POSCAR file:
```
Sr2LiCaN
1.0
5.4116 0.0000 0.0000
0.0000 5.4116 0.0000
0.0000 0.0000 4.9572
N Li Sr Ca
1 1 2 1
direct
0.0000 0.0000 0.0000 N
0.5000 0.5000 0.5000 Li
0.0000 0.5000 0.0000 Sr
0.5000 0.0000 0.0000 Sr
0.0000 0.0000 0.5000 Ca
```

=====

Least stable = arrangement 1

=====

Arrangement 1

The following is a GGA-PBE calculation of a relaxed structure of LiCa2TcN, from Alexandria.

Properties
Spin magnetization: 0.00 μB per formula unit
DOS at the Fermi energy: 2.284 states/eV per cell

POSCAR file:
```
LiCa2TcN
1.0
5.0925 0.0000 0.0000
0.0000 5.0925 0.0000
0.0000 0.0000 3.8855
Ca Tc N Li
2 1 1 1
direct
0.0000 0.5000 0.0000 Ca
0.5000 0.0000 0.0000 Ca
0.0000 0.0000 0.5000 Tc
0.0000 0.0000 0.0000 N
0.5000 0.5000 0.5000 Li
```

=====

Arrangement 2

The following is a GGA-PBE calculation of a relaxed structure of LiCa2TcN, from Alexandria.

Properties
Spin magnetization: 2.29 μB per formula unit
DOS at the Fermi energy: 4.108 states/eV per cell

POSCAR file:
```
LiCa2TcN
1.0
-3.3333 1.2373 -3.6150
1.8329 -2.7324 -2.6252
-3.1184 -3.6531 1.6250
Ca Tc Li N
2 1 1 1
direct
0.0000 0.0000 0.5000 Ca
0.5000 0.0000 0.0000 Ca
0.0000 0.5000 0.0000 Tc
0.0000 0.0000 0.0000 Li
0.5000 0.5000 0.5000 N
```

=====

Least stable = arrangement 2

=====

Arrangement 1

The following is a GGA-PBE calculation of a relaxed structure of LiCaTe2N, from Alexandria.

Properties
Spin magnetization: 1.52 μB per formula unit
DOS at the Fermi energy: 4.663 states/eV per cell

POSCAR file:
```
LiCaTe2N
1.0
-4.7105 -2.7632 0.8031
1.9720 -1.9780 4.7611
-1.4343 2.9773 1.8310
Ca Te N Li
1 2 1 1
direct
0.5000 0.5000 0.5000 Ca
0.0000 0.5000 0.0000 Te
0.5000 0.0000 0.0000 Te
- Critical: It is the most important vulnerability which can be exploited by a tool and in most cases, the attacker doesn’t need to make an extra effort to exploit them.
After the scan is complete, you can see the vulnerability report under the “Vulnerabilities” tab. Click on the vulnerability to see the details of it. We have the name of the vulnerability, description, solution method, and links to learn about it more.
Many organizations all around the world use Nessus as one of their most believed pen-testing tools. It is utilized to scan IP addresses, sites, and sensitive information. Nessus can assist in identifying missing patches, malware, and mobile scanning. Additionally, it has a fully-featured dashboard, a broad range of scanning capabilities, and a multi-design report office.
There are many tools for pen-testing and vulnerability scans that differ from one company to another. However, the goal remains the same, to secure a business’s assets from outside intruders. Penetration testers with advanced skills can reveal an increasing number of flaws. This can be fixed to make systems more secure.